This is the fourth post (and quite possibly the last) of my Minimal Data Science blog series, the previous posts can be located here:
In this post, we will be looking into a recent Data Science challenge hosted in Singapore by Dextra in August 2015: the MINDEF Data Analytics Challenge.
The task is to predict resignation probabilities within the military for 8000 personnel, given a training set of 15000 personnel with data such as demographic, work, and family-related information.
Note: The source codes as well as original datasets for this series will also be updated at this Github repository of mine.
Someone pasted calculated crystals at this point =
____________
# 1
MnAl2N3: optimized geometry, PBE-GGA.

E_tot = -7.811 eV per atom
Calculated formation energy = -1.0475 eV per atom
Mass density = 3.8 g/cm³

Cell lengths 5.570, 5.570, 4.970 Å; angles 90.00, 90.00, 59.56 degrees
Fractional positions:
Mn 0.159 0.841 0.500
Mn 0.841 0.159 0.000
Al 0.168 0.491 0.001
Al 0.491 0.168 0.501
Al 0.509 0.832 0.001
Al 0.832 0.509 0.501
N 0.164 0.489 0.383
N 0.186 0.814 0.888
N 0.489 0.164 0.883
N 0.511 0.836 0.383
N 0.814 0.186 0.388
N 0.836 0.511 0.883



# 2
Ho4BClO7: optimized geometry, PBE-GGA.

E_tot = -8.056 eV per atom
Calculated formation energy = -3.6953 eV per atom
Mass density = 7.4 g/cm³

Cell lengths 8.596, 8.037, 12.247 Å; angles 90.00, 120.01, 90.00 degrees
Fractional positions:
Ho 0.070 0.138 0.419
Ho 0.070 0.362 0.919
Ho 0.076 0.617 0.409
Ho 0.076 0.883 0.909
Ho 0.298 0.126 0.779
Ho 0.298 0.374 0.279
Ho 0.317 0.615 0.779
Ho 0.317 0.885 0.279
Ho 0.683 0.115 0.721
Ho 0.683 0.385 0.221
Ho 0.702 0.626 0.721
Ho 0.702 0.874 0.221
Ho 0.924 0.117 0.091
Ho 0.924 0.383 0.591
Ho 0.930 0.638 0.081
Ho 0.930 0.862 0.581
B 0.369 0.130 0.086
B 0.369 0.370 0.586
B 0.631 0.630 0.414
B 0.631 0.870 0.914
Cl 0.381 0.648 0.032
Cl 0.381 0.852 0.532
Cl 0.619 0.148 0.468
Cl 0.619 0.352 0.968
O 0.041 0.122 0.597
O 0.041 0.378 0.097
O 0.072 0.622 0.593
O 0.072 0.878 0.093
O 0.179 0.117 0.282
O 0.179 0.383 0.782
O 0.191 0.637 0.275
O 0.191 0.863 0.775
O 0.274 0.111 0.957
O 0.274 0.389 0.457
O 0.387 0.212 0.635
O 0.387 0.288 0.135
O 0.435 0.506 0.665
O 0.435 0.994 0.165
O 0.565 0.006 0.835
O 0.565 0.494 0.335
O 0.613 0.712 0.865
O 0.613 0.788 0.365
O 0.726 0.611 0.543
O 0.726 0.889 0.043
O 0.809 0.137 0.225
O 0.809 0.363 0.725
O 0.821 0.617 0.218
O 0.821 0.883 0.718
O 0.928 0.122 0.907
O 0.928 0.378 0.407
O 0.959 0.622 0.903
O 0.959 0.878 0.403



# 3
Na3TiSi2GePO12: optimized geometry, PBE-GGA.

Relative energy among the computed polymorphs = 0.000 eV per atom
E_tot = -6.979 eV per atom
Calculated formation energy = -2.7853 eV per atom
Mass density = 3.2 g/cm³

Cell lengths 8.810, 8.869, 12.431 Å; angles 89.62, 89.92, 89.95 degrees
Fractional positions:
Na 0.000 0.000 0.000
Na 0.038 0.001 0.496
Na 0.139 0.003 0.242
Na 0.206 0.336 0.937
Na 0.327 0.833 0.934
Na 0.394 0.500 0.243
Na 0.495 0.500 0.497
Na 0.536 0.500 0.001
Na 0.647 0.503 0.741
Na 0.704 0.833 0.434
Na 0.828 0.331 0.432
Na 0.889 0.999 0.742
Ti 0.009 0.712 0.851
Ti 0.505 0.210 0.353
Ti 0.519 0.796 0.638
Ti 0.526 0.214 0.854
Si 0.154 0.360 0.389
Si 0.160 0.650 0.104
Si 0.371 0.850 0.385
Si 0.373 0.150 0.102
Si 0.658 0.852 0.893
Si 0.662 0.155 0.601
Si 0.878 0.352 0.891
Si 0.880 0.649 0.597
Ge 0.016 0.295 0.639
Ge 0.019 0.297 0.141
Ge 0.025 0.712 0.349
Ge 0.515 0.796 0.139
P 0.230 0.014 0.741
P 0.301 0.506 0.739
P 0.736 0.511 0.240
P 0.800 0.006 0.240
O 0.074 0.276 0.492
O 0.076 0.273 0.285
O 0.085 0.737 0.206
O 0.098 0.737 0.995
O 0.127 0.096 0.658
O 0.127 0.541 0.380
O 0.129 0.925 0.822
O 0.135 0.466 0.107
O 0.184 0.163 0.098
O 0.185 0.846 0.387
O 0.200 0.397 0.673
____________
Choosing my model
Normally, for such a data set, tree-based ensemble models work surprisingly well. After running a quick test with various models, Random Forrest and Gradient Boosting Machine just stood out completely.
An illustration of different algorithms and their accuracies. Source:
The implementation of such algorithm is also playing a significant role. I chose dmlc’s XGBoost since it is by far one of the best implementations of Gradient Boosting Machine, and it has been the winner for most of the challenges lately.
Feature engineering
The very first step of feature engineering is to figure out roughly how important the original features are:
from matplotlib import pylab as plt
outfile = open('xgb.fmap', 'w')
i = 0
for feat in features:
outfile.write('{0}\t{1}\tq\n'.format(i, feat))
i = i + 1
importance = classifier.get_fscore(fmap='xgb.fmap')
_Attached: materials data_
........
VASP calculation (PBE) on a geometry-optimized Cs4KLiGa2F12 structure.

Cell and atoms, written as POSCAR:
```
Cs4KLiGa2F12
1.0
-3.645 8.712 -5.750
-6.307 3.481 -8.388
-8.792 5.991 -3.010
Li Ga F Cs K
1 2 12 4 1
direct
0.500 0.500 0.500 Li
0.584 0.584 0.584 Ga
0.416 0.416 0.416 Ga
0.761 0.332 0.761 F
0.239 0.668 0.239 F
0.761 0.761 0.332 F
0.239 0.239 0.668 F
0.332 0.761 0.761 F
0.592 0.592 0.182 F
0.668 0.239 0.239 F
0.592 0.182 0.592 F
0.408 0.408 0.818 F
0.182 0.592 0.592 F
0.408 0.818 0.408 F
0.818 0.408 0.408 F
0.133 0.133 0.133 Cs
0.714 0.714 0.714 Cs
0.867 0.867 0.867 Cs
0.286 0.286 0.286 Cs
0.000 0.000 0.000 K
```

## Properties
* ΔE_f: -3.085 eV per atom
* final energy: -0.1687 hartree per atom
* magnetization: 0.0 μB per formula unit
* space-group type: R-3m

***

VASP calculation (PBE) on a geometry-optimized Cs2LiGaF6 structure.

Cell and atoms, written as POSCAR:
```
Cs2LiGaF6
1.0
3.180 -5.509 0.000
3.180 5.509 0.000
0.000 0.000 5.180
F Ga Cs Li
6 1 2 1
direct
0.277 0.138 0.229 F
0.862 0.138 0.229 F
0.138 0.277 0.771 F
0.723 0.862 0.771 F
0.862 0.723 0.229 F
0.138 0.862 0.771 F
0.000 0.000 0.000 Ga
0.333 0.667 0.268 Cs
0.667 0.333 0.732 Cs
0.000 0.000 0.500 Li
```

## Properties
* ΔE_f: -3.081 eV per atom
* final energy: -0.1700 hartree per atom
* magnetization: 0.0 μB per formula unit
* space-group type: P-3m1

***

VASP calculation (PBE) on a geometry-optimized Cs2NaGaF6 structure.

Cell and atoms, written as POSCAR:
```
Cs2NaGaF6
1.0
0.000 4.418 4.418
4.418 0.000 4.418
4.418 4.418 0.000
F Na Ga Cs
6 1 1 2
direct
0.221 0.779 0.221 F
0.779 0.221 0.779 F
0.221 0.779 0.779 F
0.779 0.221 0.221 F
0.221 0.221 0.779 F
0.779 0.779 0.221 F
0.500 0.500 0.500 Na
0.000 0.000 0.000 Ga
0.750 0.750 0.750 Cs
0.250 0.250 0.250 Cs
```

## Properties
* ΔE_f: -3.052 eV per atom
* final energy: -0.1667 hartree per atom
* magnetization: 0.0 μB per formula unit
* space-group type: Fm-3m

***

> The highest final energy belongs to which entry?

Cs2NaGaF6

***

> Among the records above, which one has the lowest final energy?

Cs2LiGaF6

***

> Which value of magnetization does entry 1 give?

0.0 μB per formula unit

***

> Which value of magnetization does entry 2 give?

0.0 μB per formula unit

~~~~~

{"formula": "MgZn2O3", "functional": "PBE", "state": "relaxed", "vol_a3_per_cell": 60.14, "formation_energy_ev_per_atom": -2.1159, "total_energy_ev_per_atom": -4.933, "lattice_angstrom": [[-2.667, -1.062, 1.037], [2.573, -1.553, 0.535], [0.963, 3.780, 6.349]], "species": ["Mg", "Zn", "Zn", "O", "O", "O"], "frac_coords": [[0.000, 0.000, 0.000], [0.333, 0.667, 0.668], [0.667, 0.333, 0.332], [0.333, 0.667, 0.161], [0.667, 0.333, 0.839], [0.000, 0.000, 0.500]]}

~~~~~

(1)
First-principles (GGA-PBE) data for a geometry-optimized SiH8C4Br4 structure, as listed in the Materials Project.

abc: 9.2430 9.2430 7.2709
angles: 90.00 90.00 90.00
Fractional positions:
Si: 0.0000 0.0000 0.0000
Si: 0.5000 0.5000 0.5000
H: 0.0177 0.1872 0.7510
H: 0.1429 0.2265 0.9322
........
importance = sorted(importance.items(), key=operator.itemgetter(1))
df = pd.DataFrame(importance, columns=['feature', 'fscore'])
df['fscore'] = df['fscore'] / df['fscore'].sum()
# Plotitup
df.plot(kind='barh', x='feature', y='fscore', legend=False, figsize=(25, 15))
plt.title('XGBoost Feature Importance')
plt.xlabel('relative importance')
Full set of original feature (with name censored) importances as provided by XGBoost
Below is the list of feature engineering tasks that were done for the data set:
- Combining
data['promo1_gender'] = data['PROMO_LAST_1_YR' ].map(str) + data['GENDER']
data['promo2_gender'] = data['PROMO_LAST_2_YRS'].map(str) + data['GENDER']
data['promo3_gender'] = data['PROMO_LAST_3_YRS'].map(str) + data['GENDER']
data['promo4_gender'] = data['PROMO_LAST_4_YRS'].map(str) + data['GENDER']
data['promo5_gender'] = data['PROMO_LAST_5_YRS'].map(str) + data['GENDER']
- Combining
data['age_gender'] = data['GENDER'].map(str) + data['AGE_GROUPING']
- Splitting
- this feature is actually a combination of level and type of employment:
data['Rank_1'] =
data['RANK_GROUPING'].apply(lambda x: x.split(' ')[0])
data['Rank_2'] =
data['RANK_GROUPING'].apply(lambda x: x.split(' ')[1] if len(x.split(' ')) > 1 else '')
- Capping
- for this particular data set, some might have more than 10x or even 100x increment in salary, which indicates either noises or out-liners:
# Salary increment. Max to set = 101. It doesn't matter anyone getting more than this or not.
train['TOT_PERC_INC_LAST_1_YR'] =
train['TOT_PERC_INC_LAST_1_YR'].apply(lambda x: 101 if x > 101 else x)
train['BAS_PERC_INC_LAST_1_YR'] =
train['BAS_PERC_INC_LAST_1_YR'].apply(lambda x: 101 if x > 101 else x)
- Fixing
- originally if there is no kid,min_child_age
was set as 0, which is a wrong value to be used. We can’t usenull
, ormode()
for this value either, and should instead consider this age to be much higher than for those actually has kids.
def mca(row):
if row['NO_OF_KIDS'] == 0:
return '35'
return row['MIN_CHILD_AGE']
train['MIN_CHILD_AGE'] = train.apply(mca,axis=1)
test['MIN_CHILD_AGE'] = test.apply(mca,axis=1)
- Removing noisy features.
noisy_features = [`cherry-picked list based on local performance and feature importances`]
features = [c for c in features if c not in noisy_features]
features_non_numeric = [c for c in features_non_numeric if c not in noisy_features]
- Dealing with
data. I simply usedmean()
for numerical features andmode()
for categorical features
def fit(self, X, y=None):
self.fill = pd.Series([X[c].value_counts().index[0] # mode
if X[c].dtype == np.dtype('O') else X[c].mean() for c in X], # mean
return self
always get classified as resigned - this is actually more of a “hard-coded” fact than feature engineering.
if test[test[myid] == i]['EMPLOYEE_GROUP'].item() == 2:
predictions += [[i,1]]
Parameter tuning
Choosing the correct parameters is essential to building strong models. In regard to tuning XGBoost, there is not much to say except following the guides in XGBoost’s notes.
**Inserted here: materials data**
┌──
A plane-wave DFT calculation with PBE was carried out for crystalline Na6La4Nb4Si7S5O48 at its relaxed geometry.

abc: 9.2146 16.0114 23.6832
angles: 89.57 89.75 89.91
With the nearest neighbours (Å) after each atom.
Element x y z (fractional)
Na 0.0000 0.0000 0.0000  3 O 2.45-2.66
Na 0.0106 0.9973 0.4861  6 O 2.47-2.66
Na 0.0226 0.6597 0.6534  5 O 2.55-2.75
Na 0.0240 0.3280 0.8307  5 O 2.53-2.82
Na 0.0470 0.6693 0.1708  2 O 2.32-2.35
Na 0.0603 0.3180 0.3232  2 O 2.32-2.39
Na 0.1518 0.4940 0.7462  2 O 2.25-2.28
Na 0.3953 0.9949 0.2564  3 O 2.26-2.36
Na 0.4898 0.8200 0.8210  2 O 2.27-2.34
Na 0.5039 0.1693 0.6604  2 O 2.43-2.52
Na 0.5255 0.1606 0.1622  4 O 2.48-2.77
Na 0.5274 0.8294 0.3340  6 O 2.58-2.89
Na 0.5399 0.4911 0.9876  6 O 2.43-2.68
Na 0.5526 0.4986 0.4964  5 O 2.56-2.83
Na 0.6381 0.0000 0.7467  5 O 2.35-2.51
Na 0.6816 0.3260 0.0684  5 O 2.47-2.72
Na 0.8729 0.8274 0.5651  5 O 2.41-2.68
Na 0.9147 0.4994 0.2511  5 O 2.36-2.46
La 0.0055 0.6573 0.4974  3 O 2.21-2.30
La 0.0177 0.3171 0.6770  3 O 2.19-2.42
La 0.0353 0.6738 0.3127  6 O 2.26-2.50
La 0.0376 0.3327 0.1814  5 O 2.25-2.44
La 0.0396 0.0038 0.6340  3 O 2.16-2.41
La 0.0508 0.6627 0.8141  4 O 2.23-2.48
La 0.5114 0.1645 0.3182  5 O 2.26-2.52
La 0.5134 0.8330 0.6798  5 O 2.24-2.38
La 0.5148 0.5027 0.1359  2 O 2.15-2.37
La 0.5181 0.1730 0.8112  6 O 2.29-2.46
La 0.5322 0.8179 0.1803  5 O 2.23-2.47
La 0.5475 0.1609 0.9979  3 O 2.22-2.33
Nb 0.0059 0.3312 0.4692  4 O 1.87-1.95
Nb 0.0134 0.3313 0.9783  4 O 1.87-2.00
Nb 0.0221 0.9970 0.1389  5 O 1.90-2.10
Nb 0.0247 0.6649 0.0074  6 O 1.94-2.13
Nb 0.0446 0.9866 0.8504  5 O 1.89-2.09
Nb 0.0478 0.9983 0.3522  5 O 1.93-2.03
Nb 0.5022 0.4899 0.8465  4 O 1.86-1.96
Nb 0.5076 0.4856 0.3505  5 O 1.89-2.09
Nb 0.5267 0.4964 0.6359  6 O 1.94-2.14
Nb 0.5391 0.8395 0.9735  3 O 1.85-1.96
Nb 0.5408 0.8319 0.4790  4 O 1.87-1.97
Nb 0.5425 0.1627 0.5038  5 O 1.89-2.01
Si 0.1660 0.8586 0.2426  4 O 1.60-1.69
Si 0.1676 0.1359 0.2421  4 O 1.60-1.71
Si 0.1711 0.5087 0.9112  4 O 1.62-1.69
Si 0.1905 0.8107 0.9124  4 O 1.60-1.68
Si 0.2280 0.4989 0.2467  4 O 1.62-1.71
Si 0.3245 0.9990 0.7460  4 O 1.62-1.72
Si 0.3624 0.3102 0.4136  4 O 1.60-1.70
Si 0.3814 0.3546 0.7392  4 O 1.59-1.73
Si 0.3848 0.0079 0.4119  4 O 1.62-1.68
Si 0.3911 0.6358 0.7417  4 O 1.59-1.69
Si 0.6708 0.9836 0.5767  4 O 1.61-1.71
Si 0.6721 0.6815 0.5784  4 O 1.60-1.69
Si 0.6846 0.3252 0.9114  4 O 1.60-1.68
Si 0.6887 0.0080 0.9020  4 O 1.59-1.71
Si 0.7247 0.3271 0.5749  4 O 1.61-1.68
Si 0.8275 0.8286 0.0753  4 O 1.60-1.70
Si 0.8292 0.1620 0.4069  4 O 1.59-1.68
Si 0.8641 0.5066 0.4016  4 O 1.60-1.69
Si 0.8700 0.8223 0.4116  4 O 1.60-1.68
Si 0.8804 0.4829 0.0754  4 O 1.60-1.70
Si 0.8825 0.1812 0.0780  4 O 1.60-1.70
S 0.1832 0.4777 0.5777  4 O 1.47-1.53
S 0.1876 0.1868 0.5662  4 O 1.47-1.49
S 0.1972 0.1620 0.9103  4 O 1.46-1.52
S 0.2247 0.8248 0.5695  4 O 1.47-1.49
S 0.3268 0.3265 0.0692  4 O 1.46-1.50
S 0.3565 0.6624 0.4105  4 O 1.46-1.52
S 0.3672 0.6859 0.0664  4 O 1.47-1.51
└──
As for my best single model, below was the parameters I used:
params = {'max_depth':6, 'eta':0.01, 'silent':1,
'objective':'multi:softprob', 'num_class':2, 'eval_metric':'mlogloss',
'min_child_weight':3, 'subsample':1,'colsample_bytree':0.55, 'nthread':4}
num_rounds = 990
Cross-Validation for local testing
Most data science challenges will have a limit on total number of submissions you can make. K-fold cross validation (CV) helps solving that problem, by simply splitting the training data into k parts for k iteration of validation. K-fold cross validation also helps solving over-fitting problem, which seemed to be quite an important part of this competition.
An illustration of 3-fold cross validation
When your CV is strong enough, trust it. Only submit your model when it’s relatively high. A low local score but high public leader board score could be a sign of over-fitting, and should be looked into very carefully.
Lastly, scikit-learn does provide a cross_validation module that can be used quite straightforwardly:
from sklearn import cross_validation
cv = cross_validation.KFold(len(train), n_folds=5, shuffle=True,
indices=False, random_state=1337)
results = []
for traincv, testcv in cv:
xgbtrain = xgb.DMatrix(train[traincv][list(features)], label=train[traincv][goal])
classifier = xgb.train(params, xgbtrain, num_rounds)
score = entropyloss(train[testcv][goal].values, np.compress([False, True],\
classifier.predict(xgb.DMatrix(train[testcv][features])), axis=1).flatten())
print score
print "Results: " + str(results)
print "Mean: " + str(np.array(results).mean())
Blending and stacking
Ensembling might not be used much in practical projects due to its complexity, but it is very important to win Kaggle-like competition. Recently and historically, all competition winners have blended hundreds of their models and solutions together to get a final best result.
Blending also helps in prevent over-fitting. For more information, you can learn more about this topic at MLWave’s Kaggle Ensembling Guide.
Do keep in mind that, in order for blending to work efficiently, or to get the highest score, we need to first have single models that work extremely well. For this projects, I simply choose to blend a list of differently-setup XGBoost models (either different hyper parameters, or different feature sets) with
Admittedly, luck always involved in data science challenges. There are ways to minimize it as discussed above. For this competition, I only managed to finish #5 in the public leader board, but ended up in #1 in private leader board with some very close runner-up scores (only ~0.2% better than the second position).
Below are some great advices from the pro himself, Owen Zhang, talking about this very topic, in more depth in over-fitting problem, Gradient Boosting Machine’s parameter tuning, feature engineering and more: